_Given_
+++
1.
# C3H3NO3

C3H3NO3 in the gas phase (ωB97M-V/def2-TZVPD, the OMol25 dataset).

## Properties
- E_HOMO: -10.81 eV
- SMILES: O=CN(C=O)C=O
- Lowest unoccupied orbital energy: 0.0071 Ha

Structure (XYZ):
```
10
C3H3NO3 | the OMol25 dataset | ωB97M-V/def2-TZVPD
O 2.263 -0.574 -0.082
C 1.402 0.236 0.116
N 0.037 -0.040 -0.032
C -0.912 1.013 -0.007
O -0.590 2.177 -0.033
C -0.495 -1.361 0.009
O -1.691 -1.463 -0.008
H 1.619 1.322 0.246
H -1.919 0.670 0.094
H 0.217 -2.156 0.160
```

2.
# C3H3NO3

C3H3NO3 in the gas phase (ωB97M-V/def2-TZVPD, the OMol25 dataset).

## Properties
- E_HOMO: -9.41 eV
- Lowest unoccupied orbital energy: 0.0060 Ha

Structure (XYZ):
```
10
C3H3NO3 | the OMol25 dataset | ωB97M-V/def2-TZVPD
N -0.516 1.295 -0.807
C -0.464 0.097 -0.479
O 0.561 -0.782 -0.258
C 1.806 -0.314 0.037
O 2.116 0.834 0.165
C -1.829 -0.423 1.064
O -1.663 -0.574 -0.240
H 0.401 1.725 -0.841
H 2.477 -1.177 0.129
H -2.890 -0.681 1.231
```

Which one sits at the top of the stability order? 1 does.

1.
# CH4Cl2N2

A molecular structure, CH4Cl2N2 (ωB97M-V/def2-TZVPD, the OMol25 dataset).

## Properties
- E_HOMO: -8.86 eV
- Lowest unoccupied orbital energy: 0.0207 Ha

Structure (XYZ):
```
9
CH4Cl2N2 | the OMol25 dataset | ωB97M-V/def2-TZVPD
C 0.222 0.463 -0.525
N -0.342 -1.259 -0.154
N 0.781 0.860 0.666
Cl -1.363 -1.746 -1.434
Cl -0.242 1.428 1.947
H -0.646 0.998 -0.903
H 0.967 0.467 -1.350
H -0.830 -1.371 0.712
H 1.453 0.159 1.043
```

2.
# CH4Cl2N2

CH4Cl2N2 in the gas phase (ωB97M-V/def2-TZVPD, the OMol25 dataset).

## Properties
- E_HOMO: -8.95 eV
- SMILES: ClNCNCl
- Lowest unoccupied orbital energy: 0.0200 Ha

Structure (XYZ):
```
9
CH4Cl2N2 | the OMol25 dataset | ωB97M-V/def2-TZVPD
Cl 0.715 -1.455 -1.753
N 1.214 -0.700 -0.258
C 0.260 0.704 0.073
N -1.040 0.458 0.553
Cl -2.165 -0.196 -0.621
H 1.110 -1.257 0.651
H 0.221 1.380 -0.701
H 0.738 1.287 0.761
H -1.052 -0.221 1.295
```

Which one sits at the top of the stability order? 2 does.

1.
# C2H3FO

2 unconnected molecules or ions with the total composition C2H3FO (ωB97M-V/def2-TZVPD, the OMol25 dataset).

## Properties
- E_HOMO: -11.95 eV
- Lowest unoccupied orbital energy: 0.0411 Ha

Structure (XYZ):
```
7
C2H3FO | the OMol25 dataset | ωB97M-V/def2-TZVPD
C 1.100 -1.922 0.992
C -0.430 0.927 -0.496
O 0.995 -2.887 1.557
F -0.246 1.856 -1.472
H -0.124 -0.038 -0.931
H 0.153 1.256 0.405
H -1.447 0.808 -0.056
```

2.
# C2H3FO

A molecular structure, C2H3FO (ωB97M-V/def2-TZVPD, the OMol25 dataset).

## Properties
- E_HOMO: -9.35 eV
- Lowest unoccupied orbital energy: 0.0397 Ha

Structure (XYZ):
```
7
C2H3FO | the OMol25 dataset | ωB97M-V/def2-TZVPD
C -0.707 -0.086 -0.889
C 0.536 -0.082 0.687
O -0.723 -1.030 -1.553
F 0.239 1.180 1.206
H -1.240 0.918 -1.143
H 0.373 -0.770 1.391
H 1.523 -0.130 0.301
```

Which one sits at the top of the stability order? 1 does.

1.
# C3H5OP

C3H5OP in the gas phase (ωB97M-V/def2-TZVPD, the OMol25 dataset).

## Properties
- E_HOMO (spin up / spin down): -8.09 / -8.05 eV
- Lowest unoccupied orbital energy (spin up / spin down): -0.0052 / 0.0012 Ha

Structure (XYZ):
```
10
C3H5OP | the OMol25 dataset | ωB97M-V/def2-TZVPD
C -0.820 -0.097 -0.040
C 0.192 -1.134 -0.272
C 1.204 0.830 0.078
O 1.377 -0.581 0.293
P -2.416 0.212 0.134
H -0.064 -1.949 0.336
H 0.341 -1.416 -1.338
H 1.142 1.331 -0.838
H 1.373 1.270 1.174
H -2.329 1.533 0.473
```

2.
# C3H5OP

2 unconnected molecules or ions with the total composition C3H5OP (ωB97M-V/def2-TZVPD, the OMol25 dataset).

## Properties
- E_HOMO: -8.92 eV
- SMILES: C1=CC1.O=P
- Lowest unoccupied orbital energy: -0.0414 Ha

Structure (XYZ):
```
10
C3H5OP | the OMol25 dataset | ωB97M-V/def2-TZVPD
C -2.351 0.193 0.501
C -1.302 0.860 0.149
C -1.126 -0.614 0.091
H -3.378 -0.001 0.763
H -0.788 1.899 0.183
H -0.367 -1.185 0.675
H -1.234 -1.129 -0.892
O 2.437 -0.129 0.016
P 3.597 -0.476 -0.853
H 4.512 0.582 -0.633
```

Which one sits at the top of the stability order? 2 does.

1.
# C4H11ClN2
+++
_What to do_
Give back the notes earlier on from the line with "0.0200 Ha" to the end word for word.
_Completed_
- Lowest unoccupied orbital energy: 0.0200 Ha

Structure (XYZ):
```
9
CH4Cl2N2 | the OMol25 dataset | ωB97M-V/def2-TZVPD
Cl 0.715 -1.455 -1.753
N 1.214 -0.700 -0.258
C 0.260 0.704 0.073
N -1.040 0.458 0.553
Cl -2.165 -0.196 -0.621
H 1.110 -1.257 0.651
H 0.221 1.380 -0.701
H 0.738 1.287 0.761
H -1.052 -0.221 1.295
```

Which one sits at the top of the stability order? 2 does.

1.
# C2H3FO

2 unconnected molecules or ions with the total composition C2H3FO (ωB97M-V/def2-TZVPD, the OMol25 dataset).

## Properties
- E_HOMO: -11.95 eV
- Lowest unoccupied orbital energy: 0.0411 Ha

Structure (XYZ):
```
7
C2H3FO | the OMol25 dataset | ωB97M-V/def2-TZVPD
C 1.100 -1.922 0.992
C -0.430 0.927 -0.496
O 0.995 -2.887 1.557
F -0.246 1.856 -1.472
H -0.124 -0.038 -0.931
H 0.153 1.256 0.405
H -1.447 0.808 -0.056
```

2.
# C2H3FO

A molecular structure, C2H3FO (ωB97M-V/def2-TZVPD, the OMol25 dataset).

## Properties
- E_HOMO: -9.35 eV
- Lowest unoccupied orbital energy: 0.0397 Ha

Structure (XYZ):
```
7
C2H3FO | the OMol25 dataset | ωB97M-V/def2-TZVPD
C -0.707 -0.086 -0.889
C 0.536 -0.082 0.687
O -0.723 -1.030 -1.553
F 0.239 1.180 1.206
H -1.240 0.918 -1.143
H 0.373 -0.770 1.391
H 1.523 -0.130 0.301
```

Which one sits at the top of the stability order? 1 does.

1.
# C3H5OP

C3H5OP in the gas phase (ωB97M-V/def2-TZVPD, the OMol25 dataset).

## Properties
- E_HOMO (spin up / spin down): -8.09 / -8.05 eV
- Lowest unoccupied orbital energy (spin up / spin down): -0.0052 / 0.0012 Ha

Structure (XYZ):
```
10
C3H5OP | the OMol25 dataset | ωB97M-V/def2-TZVPD
C -0.820 -0.097 -0.040
C 0.192 -1.134 -0.272
C 1.204 0.830 0.078
O 1.377 -0.581 0.293
P -2.416 0.212 0.134
H -0.064 -1.949 0.336
H 0.341 -1.416 -1.338
H 1.142 1.331 -0.838
H 1.373 1.270 1.174
H -2.329 1.533 0.473
```

2.
# C3H5OP

2 unconnected molecules or ions with the total composition C3H5OP (ωB97M-V/def2-TZVPD, the OMol25 dataset).

## Properties
- E_HOMO: -8.92 eV
- SMILES: C1=CC1.O=P
- Lowest unoccupied orbital energy: -0.0414 Ha

Structure (XYZ):
```
10
C3H5OP | the OMol25 dataset | ωB97M-V/def2-TZVPD
C -2.351 0.193 0.501
C -1.302 0.860 0.149
C -1.126 -0.614 0.091
H -3.378 -0.001 0.763
H -0.788 1.899 0.183
H -0.367 -1.185 0.675
H -1.234 -1.129 -0.892
O 2.437 -0.129 0.016
P 3.597 -0.476 -0.853
H 4.512 0.582 -0.633
```

Which one sits at the top of the stability order? 2 does.

1.
# C4H11ClN2